When is Hospice Ideal to Put in Place?
January 26 2021
A Guide to Discussing and Beginning Hospice Care
Deciding on when to start end of life care is always a difficult decision. It is a very emotional time for the patient and their family and friends, making the decision to begin hospice all the more difficult. To make any decision about hospice care, it is important to have all the facts and information. In this article, we will go over what hospice care is plus the signs to watch for to know when it is the ideal time to start hospice care.
What is Hospice?
Hospice, also referred to as end of life care, is very different from health care. Rather than administering life-saving treatments, hospice focuses on comfort care in lieu of treatment for conditions and illnesses. It helps those with a terminal illness live out their days comfortably and with dignity. An entire team of interdisciplinary professionals are there to help address all the needs of the hospice patient including medical professionals who help to ease pain and discomfort with medications or therapy, social workers who ensure the needs of the patient and family caregivers are being met, as well as spiritual advisors who help to provide the final link, if needed, in a patient-centered holistic care program.
How Do You Begin the Process of Starting Hospice?
Hospice care requires the referral of the patient’s doctor to hospice. When the patient is ready and the doctor believes the patient is reaching the end of their life, they will contact the hospice care of the patient’s choice to recommend them for hospice. The hospice facility will then evaluate the patient and if they deem the patient ready for hospice, will immediately admit them and begin comfort care.
If a patient lives longer than 6 months, a doctor just needs to recertify that the patient is still nearing the end of their life and hospice care will continue. Also, know that deciding to start hospice care is not final. You always have the option to end hospice and restart curative treatment at any time.
When is the Ideal Time to Start Hospice Care?
First, it is always important to discuss the question of hospice care with your loved ones and a physician. It is important to know what you, as a patient, want to happen in order to trigger the start of seeking hospice care and your wishes should be made known to your loved ones to ensure the process goes more smoothly. Remember, it is important to discuss this early on and not wait until hospice care is already needed. Sometimes, hospice patients are admitted into hospice care a bit late, causing unnecessary pain and suffering.
Ideally hospice should begin when:
- The patient has 6 months or less to live, according to their doctor
- The patient is rapidly declining despite medical treatment
- The patient is ready to forego medical treatment aimed at prolonging life and instead live out their final days more comfortably
Signs to Watch For To Know When it is Time for Hospice
Sometimes, it is easy to know when it may be time to start hospice care. For example, a patient may no longer be responding to cancer treatments or the cancer has spread rapidly throughout the body. Other times, a hospice patient may be an elderly person who is just reaching the end of their natural life and their organs are beginning to slow or shut down. Because a doctor isn’t always around, it is important for both the patient and their loved ones to watch for signs to know when it might be time to begin end of life care. Some of these signs include:
- Not responding to life-saving treatments
- General rapid decline of health even with medical treatment
- Frequent hospitalizations or trips to the ER
- Frequent or recurring infections
- Inability to perform daily living activities
- Mental status decline
- Weight loss, reduced desire to eat
- Uncontrolled pain, shortness of breath
## The article is interrupted by calculated crystals
/*
# Na2Sc4Nb4Si5S7O48 GGA-PBE optimized geometry
data_Na2Sc4Nb4Si5S7O48
_space_group_name_H-M_alt 'P 1'
_space_group_IT_number 1
_cell_length_a 17.818
_cell_length_b 8.909
_cell_length_c 23.176
_cell_angle_alpha 90.00
_cell_angle_beta 89.92
_cell_angle_gamma 120.07
loop_
_space_group_symop_operation_xyz
'x,y,z'
loop_
_atom_site_label
_atom_site_fract_x
_atom_site_fract_y
_atom_site_fract_z
S1 0.335 0.045 0.082
S2 0.311 0.953 0.416
S3 0.360 0.007 0.748
S4 0.856 0.001 0.752
S5 0.859 0.711 0.249
S6 0.022 0.376 0.915
S7 0.978 0.333 0.582
S8 0.810 0.951 0.417
S9 0.188 0.044 0.581
S10 0.998 0.282 0.250
S11 0.478 0.624 0.082
S12 0.666 0.380 0.416
S13 0.667 0.953 0.917
S14 0.524 0.669 0.416
S15 0.356 0.709 0.252
S16 0.311 0.671 0.917
S17 0.167 0.382 0.417
S18 0.689 0.332 0.082
S19 0.834 0.624 0.582
S20 0.499 0.715 0.750
S21 0.810 0.668 0.916
O1 0.899 0.817 0.198
O2 0.895 0.829 0.911
O3 0.106 0.047 0.308
O4 0.911 0.034 0.802
O5 0.568 0.490 0.860
O6 0.906 0.802 0.588
O7 0.817 0.123 0.424
O8 0.235 0.297 0.028
O9 0.505 0.814 0.698
O10 0.581 0.471 0.265
O11 0.820 0.517 0.634
O12 0.768 0.859 0.760
O13 0.683 0.495 0.075
O14 0.077 0.960 0.908
O15 0.738 0.302 0.737
O16 0.270 0.681 0.263
O17 0.350 0.538 0.528
O18 0.897 0.970 0.416
O19 0.258 0.867 0.365
O20 0.516 0.187 0.917
O21 0.180 0.484 0.365
O22 0.576 0.690 0.470
O23 0.893 0.979 0.698
O24 0.274 0.854 0.752
O25 0.428 0.361 0.925
O26 0.095 0.156 0.807
O27 0.082 0.681 0.474
O28 0.158 0.833 0.973
O29 0.322 0.517 0.924
O30 0.078 0.681 0.760
O31 0.254 0.873 0.077
O32 0.759 0.867 0.366
O33 0.600 0.183 0.087
O34 0.182 0.869 0.574
O35 0.065 0.641 0.360
O36 0.747 0.849 0.070
O37 0.398 0.965 0.410
O38 0.480 0.157 0.307
O39 0.604 0.163 0.808
O40 0.426 0.540 0.031
O41 0.680 0.876 0.865
O42 0.678 0.484 0.365
O43 0.248 0.149 0.920
O44 0.491 0.172 0.595
O45 0.919 0.307 0.243
O46 0.247 0.644 0.570
O47 0.353 0.536 0.247
O48 0.229 0.148 0.530
O49 0.850 0.162 0.028
O50 0.081 0.982 0.195
O51 0.516 0.827 0.410
O52 0.073 0.455 0.970
O53 0.596 0.012 0.597
O54 0.075 0.454 0.255
O55 0.926 0.312 0.531
O56 0.594 0.034 0.307
O57 0.158 0.839 0.256
O58 0.583 0.203 0.409
O59 0.481 0.784 0.802
O60 0.758 0.145 0.638
O61 0.764 0.840 0.470
O62 0.733 0.168 0.526
O63 0.412 0.808 0.602
O64 0.589 0.977 0.193
O65 0.261 0.649 0.865
O66 0.657 0.477 0.755
O67 0.240 0.122 0.634
O68 0.572 0.504 0.569
O69 0.006 0.821 0.692
O70 0.099 0.015 0.586
O71 0.923 0.494 0.424
O72 0.581 0.180 0.695
O73 0.850 0.169 0.745
O74 0.395 0.810 0.199
O75 0.757 0.647 0.865
O76 0.266 0.689 0.970
O77 0.813 0.132 0.141
O78 0.741 0.357 0.135
O79 0.242 0.354 0.424
O80 0.090 0.204 0.693
O81 0.989 0.180 0.587
O82 0.585 0.955 0.917
O83 0.070 0.633 0.073
O84 0.313 0.492 0.640
O85 0.912 0.016 0.103
O86 0.064 0.483 0.865
O87 0.926 0.493 0.140
O88 0.820 0.513 0.922
O89 0.768 0.688 0.970
O90 0.270 0.850 0.470
O91 0.014 0.843 0.417
O92 0.350 0.152 0.032
O93 0.741 0.192 0.244
O94 0.322 0.128 0.421
O95 0.664 0.854 0.265
O96 0.490 0.799 0.088
O97 0.011 0.199 0.909
O98 0.167 0.478 0.765
*/
## The article goes on
- Nausea or vomiting
- The decision to focus on quality of life, rather than aggressive life-prolonging treatments
While it may seem like hospice care is about dying, it is actually about deciding how to live life with the time you have left. It is about celebrating life, saying your goodbyes and living out your final days with dignity.
If you believe that a loved one or yourself is ready to begin hospice care, consider My All American Care for your end of life treatment. Our caring professionals provide hospice care to patients in the comfort of their own home. This allows hospice patients the time and space they need to live out their days in peace and with family and friends.